(Given)
<<<
No. 1
This record from the OMol25 dataset describes a cluster of 8 separate species, C22H35BF4N9O2 in total in a non-equilibrium geometry. The level of theory is the ωB97M-V functional and the def2-TZVPD basis.

```
73
Properties=species:S:1:pos:R:3:lowdin_charge:R:1
B 16.66 24.03 1.03 -1.278
F 16.02 22.91 1.52 0.154
F 15.79 25.15 1.14 0.080
F 17.82 24.32 1.77 0.119
F 17.05 23.84 -0.31 0.091
C 15.48 25.00 4.89 -0.678
O 15.16 25.25 6.05 -0.008
N 15.02 25.69 3.79 0.165
N 16.14 23.87 4.54 0.169
H 14.33 26.40 3.88 0.095
H 15.45 25.45 2.89 0.058
H 16.64 23.42 5.30 0.100
H 16.51 23.75 3.62 0.062
C 18.38 24.22 -3.88 -0.678
O 18.36 24.24 -5.11 -0.010
N 17.22 24.22 -3.17 0.165
N 19.54 24.22 -3.16 0.172
H 16.41 24.22 -3.77 0.099
H 17.17 24.38 -2.18 0.056
H 20.32 24.45 -3.76 0.108
H 19.64 24.65 -2.25 0.058
C 13.55 21.06 3.41 -0.100
C 12.88 22.36 3.89 -0.242
C 11.63 22.05 4.73 -0.200
C 11.75 21.12 5.85 -0.237
N 11.89 20.38 6.72 0.132
H 13.83 20.52 4.31 0.065
H 14.45 21.31 2.85 0.054
H 12.84 20.48 2.82 0.075
H 12.62 22.94 3.00 0.109
H 13.55 22.93 4.54 0.091
H 10.80 21.78 4.08 0.113
H 11.34 23.01 5.18 0.114
N 15.17 27.00 -0.95 0.015
C 14.66 28.07 -0.27 -0.142
C 14.46 29.08 -1.16 -0.121
C 14.80 28.58 -2.45 -0.115
C 15.27 27.29 -2.29 -0.141
H 15.25 26.06 -0.59 0.113
H 14.42 28.00 0.77 0.107
H 14.23 30.10 -0.93 0.086
H 14.87 29.11 -3.39 0.084
H 15.70 26.56 -2.96 0.088
N 19.54 20.36 4.02 0.014
C 19.38 19.96 5.33 -0.146
C 18.09 20.23 5.69 -0.120
C 17.41 20.69 4.55 -0.123
C 18.32 20.75 3.52 -0.118
H 20.45 20.37 3.58 0.133
H 20.16 19.51 5.92 0.098
H 17.58 20.11 6.64 0.091
H 16.41 21.09 4.50 0.072
H 18.25 21.08 2.50 0.100
N 19.78 22.43 0.24 0.047
C 20.81 22.40 1.14 -0.194
C 21.91 21.77 0.62 -0.105
C 21.53 21.37 -0.71 -0.107
C 20.24 21.78 -0.88 -0.148
H 18.91 22.91 0.37 0.099
H 20.68 22.86 2.11 0.109
H 22.85 21.59 1.12 0.080
H 22.08 20.74 -1.39 0.082
H 19.58 21.81 -1.74 0.100
N 18.83 26.09 -0.41 0.034
C 18.92 26.95 -1.48 -0.143
C 20.25 27.20 -1.70 -0.130
C 21.01 26.50 -0.71 -0.101
C 20.09 25.80 0.04 -0.139
H 17.95 25.67 -0.17 0.097
H 18.04 27.26 -2.01 0.097
H 20.66 27.69 -2.57 0.089
H 22.08 26.55 -0.62 0.087
H 20.28 25.17 0.90 0.094
```

Output
net charge: -1
E_LUMO: 2.57 eV
strongest force on any atom: 1.8 eV/A

No. 2
This record from the OMol25 dataset describes a cluster of 3 separate species, C4H15NO2 in total in a non-equilibrium geometry. The level of theory is the ωB97M-V functional and the def2-TZVPD basis.

```
22
Properties=species:S:1:pos:R:3:lowdin_charge:R:1
C 0.46 -1.85 -2.10 -0.108
C 0.26 -1.94 -0.58 -0.202
C -0.12 -0.52 -0.02 -0.444
C -1.17 -0.66 1.08 -0.072
N 1.06 0.21 0.48 0.031
H 1.37 -1.26 -2.25 0.074
H -0.41 -1.53 -2.66 0.071
H 0.65 -2.84 -2.51 0.066
H -0.59 -2.56 -0.32 0.093
H 1.18 -2.25 -0.09 0.101
H -0.55 0.08 -0.83 0.116
H -1.60 0.34 1.26 0.065
H -0.78 -0.93 2.06 0.085
H -2.00 -1.28 0.75 0.075
H 0.85 0.75 1.29 0.042
H 1.83 -0.42 0.67 0.069
O -0.44 2.60 2.07 -0.053
H -0.52 2.64 1.11 -0.010
H -0.79 3.42 2.38 0.024
O 0.10 2.76 -0.75 -0.043
H 0.78 3.37 -0.47 0.048
H 0.41 1.88 -0.57 -0.028
```

Output
relative energy (zero: lowest compared OMol25 entry of this formula, charge and spin): 15.28 kcal per mole
E_LUMO: 0.89 eV
strongest force on any atom: 2.2 eV/A

No. 3
This record from the OMol25 dataset describes a structure of composition C50H68IrN3P3 in a non-equilibrium geometry. The level of theory is the ωB97M-V functional and the def2-TZVPD basis.

```
125
Properties=species:S:1:pos:R:3:lowdin_charge:R:1
Ir -0.64 -0.69 1.01 1.039
C -3.73 2.29 -1.65 -0.088
C -2.57 1.86 -0.74 -0.525
C -2.60 2.79 0.48 -0.099
P -2.50 0.07 -0.27 1.027
C -4.22 -0.37 0.23 -0.485
C -4.61 0.13 1.63 -0.074
C -4.51 -1.87 0.08 -0.076
C -2.22 -0.96 -1.73 -0.315
C -2.88 -0.81 -2.95 -0.091
C -2.67 -1.69 -4.00 -0.081
C -1.76 -2.72 -3.82 -0.058
C -1.11 -2.90 -2.62 -0.037
C -1.37 -2.06 -1.53 -0.312
N -0.77 -2.23 -0.26 -0.154
C -0.29 -3.50 0.14 -0.312
C -0.88 -4.69 -0.28 -0.033
C -0.34 -5.91 0.07 -0.044
C 0.80 -5.98 0.86 -0.059
C 1.34 -4.81 1.37 -0.083
>>>

(What to do)
Your job: find the line above that holds "6.72 0.132", then reproduce that line and all lines after it there.

(Result)
N 11.89 20.38 6.72 0.132
H 13.83 20.52 4.31 0.065
H 14.45 21.31 2.85 0.054
H 12.84 20.48 2.82 0.075
H 12.62 22.94 3.00 0.109
H 13.55 22.93 4.54 0.091
H 10.80 21.78 4.08 0.113
H 11.34 23.01 5.18 0.114
N 15.17 27.00 -0.95 0.015
C 14.66 28.07 -0.27 -0.142
C 14.46 29.08 -1.16 -0.121
C 14.80 28.58 -2.45 -0.115
C 15.27 27.29 -2.29 -0.141
H 15.25 26.06 -0.59 0.113
H 14.42 28.00 0.77 0.107
H 14.23 30.10 -0.93 0.086
H 14.87 29.11 -3.39 0.084
H 15.70 26.56 -2.96 0.088
N 19.54 20.36 4.02 0.014
C 19.38 19.96 5.33 -0.146
C 18.09 20.23 5.69 -0.120
C 17.41 20.69 4.55 -0.123
C 18.32 20.75 3.52 -0.118
H 20.45 20.37 3.58 0.133
H 20.16 19.51 5.92 0.098
H 17.58 20.11 6.64 0.091
H 16.41 21.09 4.50 0.072
H 18.25 21.08 2.50 0.100
N 19.78 22.43 0.24 0.047
C 20.81 22.40 1.14 -0.194
C 21.91 21.77 0.62 -0.105
C 21.53 21.37 -0.71 -0.107
C 20.24 21.78 -0.88 -0.148
H 18.91 22.91 0.37 0.099
H 20.68 22.86 2.11 0.109
H 22.85 21.59 1.12 0.080
H 22.08 20.74 -1.39 0.082
H 19.58 21.81 -1.74 0.100
N 18.83 26.09 -0.41 0.034
C 18.92 26.95 -1.48 -0.143
C 20.25 27.20 -1.70 -0.130
C 21.01 26.50 -0.71 -0.101
C 20.09 25.80 0.04 -0.139
H 17.95 25.67 -0.17 0.097
H 18.04 27.26 -2.01 0.097
H 20.66 27.69 -2.57 0.089
H 22.08 26.55 -0.62 0.087
H 20.28 25.17 0.90 0.094
```

Output
net charge: -1
E_LUMO: 2.57 eV
strongest force on any atom: 1.8 eV/A

No. 2
This record from the OMol25 dataset describes a cluster of 3 separate species, C4H15NO2 in total in a non-equilibrium geometry. The level of theory is the ωB97M-V functional and the def2-TZVPD basis.

```
22
Properties=species:S:1:pos:R:3:lowdin_charge:R:1
C 0.46 -1.85 -2.10 -0.108
C 0.26 -1.94 -0.58 -0.202
C -0.12 -0.52 -0.02 -0.444
C -1.17 -0.66 1.08 -0.072
N 1.06 0.21 0.48 0.031
H 1.37 -1.26 -2.25 0.074
H -0.41 -1.53 -2.66 0.071
H 0.65 -2.84 -2.51 0.066
H -0.59 -2.56 -0.32 0.093
H 1.18 -2.25 -0.09 0.101
H -0.55 0.08 -0.83 0.116
H -1.60 0.34 1.26 0.065
H -0.78 -0.93 2.06 0.085
H -2.00 -1.28 0.75 0.075
H 0.85 0.75 1.29 0.042
H 1.83 -0.42 0.67 0.069
O -0.44 2.60 2.07 -0.053
H -0.52 2.64 1.11 -0.010
H -0.79 3.42 2.38 0.024
O 0.10 2.76 -0.75 -0.043
H 0.78 3.37 -0.47 0.048
H 0.41 1.88 -0.57 -0.028
```

Output
relative energy (zero: lowest compared OMol25 entry of this formula, charge and spin): 15.28 kcal per mole
E_LUMO: 0.89 eV
strongest force on any atom: 2.2 eV/A

No. 3
This record from the OMol25 dataset describes a structure of composition C50H68IrN3P3 in a non-equilibrium geometry. The level of theory is the ωB97M-V functional and the def2-TZVPD basis.

```
125
Properties=species:S:1:pos:R:3:lowdin_charge:R:1
Ir -0.64 -0.69 1.01 1.039
C -3.73 2.29 -1.65 -0.088
C -2.57 1.86 -0.74 -0.525
C -2.60 2.79 0.48 -0.099
P -2.50 0.07 -0.27 1.027
C -4.22 -0.37 0.23 -0.485
C -4.61 0.13 1.63 -0.074
C -4.51 -1.87 0.08 -0.076
C -2.22 -0.96 -1.73 -0.315
C -2.88 -0.81 -2.95 -0.091
C -2.67 -1.69 -4.00 -0.081
C -1.76 -2.72 -3.82 -0.058
C -1.11 -2.90 -2.62 -0.037
C -1.37 -2.06 -1.53 -0.312
N -0.77 -2.23 -0.26 -0.154
C -0.29 -3.50 0.14 -0.312
C -0.88 -4.69 -0.28 -0.033
C -0.34 -5.91 0.07 -0.044
C 0.80 -5.98 0.86 -0.059
C 1.34 -4.81 1.37 -0.083